********
Record 1
DFT (ωB97M-V/def2-TZVPD) results for a single C19H28N4S molecule.

Computed properties:
SMILES string ... S=C(NN=C1CCN(Cc2ccccc2)CC1)NC1CCCCC1
Maximum force ... 0.8 eV/Å
Gap between HOMO and LUMO ... 8.63 eV
Total charge ... 0
LUMO ... 0.0245 Ha
Energy ... -36953.2776 eV
HOMO level ... -7.966 eV

The geometry in XYZ format:
```
52
Properties=species:S:1:pos:R:3:forces:R:3:nbo_charge:R:1
S -3.52851 -2.42009 1.20538 -0.390 -0.493 0.391 -0.293
C -2.54826 -1.36040 0.40242 -0.045 0.258 -0.188 0.295
N -1.22117 -1.65945 0.28966 0.508 -0.501 0.237 -0.446
N -0.37273 -0.81533 -0.33135 0.014 0.611 -0.390 -0.274
C 0.87726 -1.03497 -0.39757 -0.182 -0.108 0.067 0.264
C 1.73002 -0.05996 -1.14813 0.181 0.056 -0.130 -0.458
C 2.83780 -0.84903 -1.85425 -0.243 0.074 -0.204 -0.217
N 3.72867 -1.53403 -0.93146 0.011 -0.141 0.107 -0.443
C 5.04589 -0.93199 -0.76600 -0.030 -0.080 -0.068 -0.248
C 5.04271 0.42140 -0.09510 0.054 -0.049 0.022 0.043
C 5.14992 0.52384 1.28813 0.053 0.025 -0.068 -0.247
C 5.05787 1.75344 1.91722 -0.003 0.021 0.115 -0.205
C 4.86548 2.90286 1.17064 -0.008 0.069 0.044 -0.218
C 4.78329 2.81700 -0.20876 -0.036 0.093 -0.057 -0.196
C 4.87172 1.58639 -0.83491 0.046 -0.029 0.002 -0.251
C 3.09913 -1.87212 0.33508 0.086 -0.136 0.151 -0.214
C 1.62382 -2.21730 0.16097 -0.061 -0.054 0.106 -0.500
N -2.94247 -0.21944 -0.17268 0.547 -0.114 -0.034 -0.590
C -4.27274 0.33208 -0.08742 -0.166 0.252 -0.016 -0.060
C -4.31908 1.48702 0.91780 -0.240 -0.309 0.088 -0.403
C -5.72955 2.06168 0.99769 0.194 0.259 -0.114 -0.398
C -6.19290 2.53505 -0.37646 -0.236 -0.217 0.108 -0.396
C -6.14441 1.38539 -1.37814 0.205 0.273 -0.095 -0.396
C -4.73438 0.80869 -1.46405 -0.214 -0.274 0.147 -0.400
H -0.91652 -2.52834 0.71939 -0.153 0.218 -0.090 0.398
H 1.12376 0.49642 -1.86241 -0.026 0.001 0.034 0.233
H 2.17995 0.65717 -0.45479 0.015 0.028 -0.005 0.226
H 3.41930 -0.18911 -2.49740 -0.011 -0.050 -0.024 0.205
H 2.36946 -1.60557 -2.49801 -0.001 0.180 -0.079 0.191
H 5.64140 -1.63475 -0.17534 0.070 0.058 -0.059 0.202
H 5.49397 -0.85820 -1.76045 0.067 -0.012 0.086 0.205
H 5.32345 -0.36603 1.87732 -0.002 -0.098 0.042 0.211
H 5.13917 1.81381 2.99280 0.012 0.011 0.080 0.215
H 4.79138 3.86252 1.66032 0.001 0.073 0.037 0.215
H 4.65156 3.71169 -0.79977 -0.005 0.072 -0.042 0.213
H 4.81813 1.53511 -1.91326 0.003 -0.024 -0.110 0.208
H 3.16979 -1.04810 1.06463 -0.025 -0.119 -0.036 0.177
H 3.63569 -2.73287 0.75065 -0.079 0.108 0.103 0.204
H 1.52000 -3.06747 -0.52067 -0.038 -0.057 0.031 0.234
H 1.21410 -2.51272 1.13109 0.004 -0.047 -0.042 0.227
H -2.20612 0.34012 -0.58420 -0.031 -0.041 -0.006 0.417
H -4.92271 -0.47696 0.26277 0.071 0.137 -0.072 0.238
H -4.00391 1.12383 1.89771 0.092 -0.010 -0.010 0.221
H -3.61975 2.26603 0.60237 0.083 0.046 -0.011 0.190
H -6.41034 1.29117 1.36480 -0.066 -0.023 0.075 0.199
H -5.74921 2.89218 1.70602 -0.059 -0.044 0.065 0.209
H -5.54395 3.34421 -0.72011 0.007 0.086 -0.027 0.191
H -7.20948 2.92699 -0.31074 0.005 0.092 -0.030 0.208
H -6.83498 0.60090 -1.06233 -0.077 -0.053 -0.029 0.199
H -6.46016 1.73405 -2.36337 -0.066 -0.068 -0.011 0.208
H -4.71081 -0.02675 -2.16612 0.089 -0.003 -0.021 0.217
H -4.04594 1.57664 -1.82695 0.076 0.049 -0.070 0.189
```
Forces are in eV/Å.


Record 2
DFT (ωB97M-V/def2-TZVPD) results for a single C19H28N8O2 molecule.

Computed properties:
SMILES string ... Cc1cncc(C(=O)N[C@@H](C)CCNC(=O)[C@@H]2CCCN2Cc2nnn(C)n2)c1
Maximum force ... 0.4 eV/Å
Gap between HOMO and LUMO ... 9.48 eV
Total charge ... 0
LUMO ... 0.0188 Ha
Energy ... -36173.8240 eV
Relative energy (zero: lowest compared OMol25 entry of this formula, charge and spin) ... 11.89 kcal per mole
HOMO level ... -8.970 eV

The geometry in XYZ format:
```
57
Properties=species:S:1:pos:R:3:forces:R:3:nbo_charge:R:1
C 2.29590 -1.48241 -3.93821 -0.006 -0.010 0.011 -0.637
C 2.40891 -0.28282 -3.03974 0.008 0.000 -0.001 -0.050
C 3.61773 0.38199 -2.86303 -0.004 0.006 -0.002 0.047
N 3.77982 1.45477 -2.09337 0.009 -0.008 -0.001 -0.409
********

The reader should work out how many lines earlier on have the word "Ha" in them; a number is enough.

2